Dietrich Bonhoeffer Flashcards
theology: christian moral action, Dietrich Bonhoeffer
Who was Bonhoeffer’s brother and what happened.
Walter, who died in WW1.
What religion was his family associated with.
When did Bonhoeffer first envision the future of the Lutheran Church.
What kind of church did he experience in New York.
Black Churches.
What was his radio show called.
‘The Younger Generations Altered View and Concept of the Fuhrer.’
What made the Confession Church different.
Did not agree with Nazi claim only those of Aryan decent could be in ministry or church.
Name of the Nazi Resistance part.
What did he call the Resistance in a letter to who.
‘The terrible alternative’, to Niebhur.
Secular pacifism.
Non-religious view that history would eventually reach a state of non-violence.
When did he join the Nazi Country Intelligence section of the Armed Forces.
When was he arrested and then hung.
1983, 1985.
What was the main message of ‘Ethics’.
- Christian and human ethics are different.
- Ethical systems based on ideaology are extentions of human ideas used to justify their actions.
- Christian ethics are based off the idea that humans are innately sinful and cannot be right or wrong.
What did Bonhoeffer think the relationship between church and state should be.
The Church should keep the state in check, as the state can never fully represent Gods will.
Mark 12:17.
‘Give to the emperor the things that are the emperors, and to God the things that are God’s.’
Romans 13:1.
‘There is no authority except from God.’
When does Bonhoeffer believe God’s will is clear.
“Only be clear in the moment of action.”
What does he believe must be rid of to know God’s will.
Personal ambition.
Why is he critical of love as a Christian principle.
As it would make morality a human principle and reduce God to a human idea.
The difference between leadership and leader.
Leadership is an abstract concept beyond the person, but leader is specific to the person.
What did the Germans do to ‘leader’.
Divorce it from society and make it perfect.
Why did he justify tyrannicide.
Christians can disobey state when it does not act in accordance with Gods Will and action to ensure social order is necessary.
What is his consolation for the sin of tyrannicide.
That God promises of forgive the ‘man who becomes a sinner in the process.’
- - -
No. 1
A plane-wave DFT calculation with PBE was carried out for an optimized crystal structure of Li6GaPd2.

Cell and atoms, written as extended XYZ:
```
9
Lattice="6.345 -1.931 0.000 6.345 1.931 0.000 -2.130 0.000 5.617" Properties=species:S:1:pos:R:3 pbc="T T T"
Li 0.926 0.000 0.831
Li 0.967 0.000 4.714
Li 3.299 0.000 2.863
Li 7.261 0.000 2.754
Li 9.593 0.000 0.903
Li 9.634 0.000 4.786
Ga -1.065 0.000 2.808
Pd 5.250 0.000 1.039
Pd 5.310 0.000 4.578
```

Summary:
Distance to the lowest polymorph of the same formula (eV/f.u.): 0.000
Spin magnetization (μB/cell): 0.000
N(E_F) (states/eV per cell): 2.25
Space group: C2/m
Formation enthalpy at 0 K (eV per atom): -0.35

No. 2
A plane-wave DFT calculation with PBE was carried out for an optimized crystal structure of LiGa3Pd.

Cell and atoms, written as extended XYZ:
```
10
Lattice="4.463 0.000 0.000 0.000 5.456 0.000 -2.216 0.000 6.536" Properties=species:S:1:pos:R:3 pbc="T T T"
Li 0.005 0.000 2.469
Li 2.242 2.728 4.067
Ga -0.010 1.382 0.247
Ga 0.006 2.745 2.578
Ga 0.009 1.448 5.326
Ga 2.238 4.176 1.210
Ga 2.242 0.017 3.958
Ga 2.257 4.110 6.289
Pd 0.018 4.155 4.772
Pd 2.229 1.427 1.764
```

Summary:
Distance to the lowest polymorph of the same formula (eV/f.u.): 0.000
Spin magnetization (μB/cell): 0.000
N(E_F) (states/eV per cell): 2.72
Space group: P2_1
Formation enthalpy at 0 K (eV per atom): -0.38

No. 3
A plane-wave DFT calculation with PBE was carried out for an optimized crystal structure of Li4GaPd7.

Cell and atoms, written as extended XYZ:
```
12
Lattice="4.862 -2.364 0.000 4.862 2.364 0.000 -4.567 0.000 8.447" Properties=species:S:1:pos:R:3 pbc="T T T"
Li -0.260 0.000 2.273
Li -1.566 0.000 6.819
Li 6.723 0.000 1.627
Li 5.418 0.000 6.173
Ga 2.579 0.000 4.223
Pd -2.283 0.000 4.223
Pd 1.350 0.000 0.289
Pd 0.301 0.000 4.901
Pd 3.990 0.000 1.028
Pd 1.168 0.000 7.419
Pd 4.856 0.000 3.546
Pd 3.807 0.000 8.157
```

Summary:
Spin magnetization (μB/cell): 0.000
N(E_F) (states/eV per cell): 6.08
Space group: C2/m
Formation enthalpy at 0 K (eV per atom): -0.23

No. 4
A plane-wave DFT calculation with PBE was carried out for an optimized crystal structure of Li2GaPd4.

Cell and atoms, written as extended XYZ:
```
7
Lattice="2.251 -4.915 0.000 2.251 4.915 0.000 0.000 0.000 4.480" Properties=species:S:1:pos:R:3 pbc="T T T"
Li 2.251 3.904 0.000
Li 2.251 -3.904 0.000
Ga 2.251 0.000 2.240
Pd 2.251 3.341 2.240
Pd 2.251 1.421 0.000
Pd 2.251 -1.421 0.000
Pd 2.251 -3.341 2.240
```

Summary:
Distance to the lowest polymorph of the same formula (eV/f.u.): 1.279
Spin magnetization (μB/cell): 0.000
N(E_F) (states/eV per cell): 2.67
Space group: Cmmm
Formation enthalpy at 0 K (eV per atom): -0.26

No. 5
A plane-wave DFT calculation with PBE was carried out for an optimized crystal structure of Li3Ga4Pd.

Cell and atoms, written as extended XYZ:
```
8
Lattice="3.243 0.000 0.000 0.000 3.243 0.000 0.000 0.000 11.539" Properties=species:S:1:pos:R:3 pbc="T T T"
Li 0.000 0.000 0.000
Li 0.000 0.000 2.880
- - -
• Back to the piece:
What element of Kirkegaard’s philosophy does he use.
That humans can, in extreme situations, only act out of despair, but in faith and hope.
‘The Western void.’
The vacum in society opened which allows for dangerous beliefs when Christianity was lost.
Religionless Christianity.
Christianity which doesnt have the baggage of the past or ideological beliefs.
‘No rusty swords.’
Metaphor describing outworn ethical attitudes used by the Church which are no longer useful.
Aryan Paragraph (1934).
Removed all clergy not from Aryan descent.
Barmen Declaration.
Christianities primary duty is to Christ and that they should reject ay teachings not revealed through Christ.
• These records of crystals were left in the piece by mistake:
'''
No. 1
A geometry-optimized Sm2AlGa structure, computed with PBE-GGA.

Computed properties:
As for the space group: No. 166. Its formation energy from the elements is -259 meV per atom.

abc: 3.7259 3.7259 9.2816
angles: 78.42 78.42 60.00
Closest atoms and distances in Å follow each position.
Sites, in units of the cell vectors:
Sm 0.7514 0.7514 0.7459  3 Ga 3.09, 3 Al 3.14
Sm 0.2486 0.2486 0.2541  3 Ga 3.09, 3 Al 3.14
Al 0.0000 0.0000 0.0000  6 Sm 3.14
Ga 0.5000 0.5000 0.5000  6 Sm 3.09



No. 2
A geometry-optimized KNd2Ho structure, computed with PBE-GGA.

Computed properties:
As for the space group: No. 166. Its formation energy from the elements is 191 meV per atom.

abc: 3.6530 3.6530 13.5849
angles: 82.27 82.27 60.00
Closest atoms and distances in Å follow each position.
Sites, in units of the cell vectors:
Ho 0.5000 0.5000 0.5000  6 Nd 3.55, 6 Ho 3.65
Nd 0.9041 0.9041 0.2876  3 Ho 3.55, 6 Nd 3.65, 1 K 3.86
Nd 0.0959 0.0959 0.7124  3 Ho 3.55, 6 Nd 3.65, 1 K 3.86
K 0.0000 0.0000 0.0000  6 K 3.65, 2 Nd 3.86



No. 3
A geometry-optimized ZrBeZn2Os structure, computed with PBE-GGA.

Computed properties:
As for the space group: No. 123. Its formation energy from the elements is 2109 meV per atom.

abc: 4.9220 4.4573 4.9220
angles: 90.00 90.00 90.00
Closest atoms and distances in Å follow each position.
Sites, in units of the cell vectors:
Os 0.5000 0.5000 0.5000  8 Zn 3.32, 4 Be 3.48
Be 0.0000 0.5000 0.0000  2 Zr 2.23
Zn 0.0000 0.0000 0.5000  2 Zr 2.46
Zn 0.5000 0.0000 0.0000  2 Zr 2.46
Zr 0.0000 0.0000 0.0000  2 Be 2.23, 4 Zn 2.46



No. 4
A geometry-optimized Ca4ZnIn3 structure, computed with PBE-GGA.

Computed properties:
As for the space group: No. 123. Its formation energy from the elements is -410 meV per atom.

abc: 3.8027 3.8027 15.4018
angles: 90.00 90.00 90.00
Closest atoms and distances in Å follow each position.
Sites, in units of the cell vectors:
Ca 0.0000 0.0000 0.3727  8 In 3.33
Ca 0.0000 0.0000 0.1160  4 Zn 3.23, 4 In 3.34, 1 Ca 3.57
Ca 0.0000 0.0000 0.6273  8 In 3.33
Ca 0.0000 0.0000 0.8840  4 Zn 3.23, 4 In 3.34, 1 Ca 3.57
In 0.5000 0.5000 0.2446  8 Ca 3.33-3.34
In 0.5000 0.5000 0.7554  8 Ca 3.33-3.34
In 0.5000 0.5000 0.5000  8 Ca 3.33
Zn 0.5000 0.5000 0.0000  8 Ca 3.23



Number 1: DOS(E_F) 2.19 states/eV per cell. Number 2: DOS(E_F) 4.58 states/eV per cell. Number 3: DOS(E_F) 4.51 states/eV per cell. Number 4: DOS(E_F) 4.91 states/eV per cell.

* * * * *

CoHBrO: relaxed, PBE with a Hubbard U.

Cell: 3.492 3.492 5.565 Å, 90.00 90.00 120.00°
Element x y z (fractional)
Co1 0.000 0.000 0.000
H1 0.333 0.667 0.317
Br1 0.667 0.333 0.695
O1 0.333 0.667 0.141

DFT total energy, eV per formula unit: -18.3
Total moment, μB/f.u.: 3.00
DOS(E_F), states/eV/f.u.: 0.00

***

CoHBrO: relaxed, PBE with a Hubbard U.

Cell: 4.626 3.468 5.078 Å, 90.00 92.49 90.00°
Element x y z (fractional)
Co1 0.000 0.000 0.000
H1 0.345 0.000 0.792
Br1 0.602 0.000 0.616
O1 0.058 0.500 0.062

DFT total energy, eV per formula unit: -16.1
'''
Who produced the Barmen Declaration (1934).
Karl Barth at a Confession Church meeting.
Ecumenical theology.
Bonhoffers theology focusing on unity and against nationalism.
What community did Bonhoeffer set up.
Main features practised at Finkenwalde.
- Discipline.
- Meditation.
- Bible.
- Brotherhood.
- Community.
Himmler Decree (1937).
Criminalised the teaching of Confessing Church ministers.
What did Barth teach Bonhoeffer.
- Christianity cannot be an abstract system of human thought.
## Attached: materials data
********
Record 1
Compound: AcCeY2P4
Source: Alexandria via LeMat-Bulk
Functional: PBE
Structure: relaxed

As for the calculated volume: 202 Å³/cell. The calculation puts the theoretical density at 5.5 Mg/m³. The formation energy is -12.1 eV/f.u.

It has space group P2/m (No. 10), with a = 7.1734 Å, b = 4.1467 Å, c = 7.1939 Å, α = 90.00°, β = 109.40° and γ = 90.00°. Symmetry generates all atoms from Ac at (0.0000, 0.0000, 0.0000), Ce at (0.0000, 0.5000, 0.5000), Y at (0.5000, 0.0000, 0.5000), Y at (0.5000, 0.5000, 0.0000), P at (0.2595, 0.0000, 0.7440) and P at (0.2657, 0.5000, 0.2656).

=====

Record 2
Compound: Cs8HAu4Br3
Source: Alexandria via LeMat-Bulk
Functional: PBE
Structure: relaxed

As for the calculated volume: 2339 Å³/cell. The calculation puts the theoretical density at 4.5 Mg/m³. As for the total energy: -125.18 eV/cell.

It has space group R-3m (No. 166, hexagonal axes), with a = 10.3030 Å, b = 10.3030 Å, c = 25.4391 Å, α = 90.00°, β = 90.00° and γ = 120.00°. Symmetry generates all atoms from Cs at (0.0000, 0.0000, 0.2495), Cs at (0.0116, 0.5058, 0.2464), H at (0.0000, 0.0000, 0.5000), Au at (0.0000, 0.0000, 0.0000), Au at (0.0000, 0.5000, 0.0000) and Br at (0.0000, 0.5000, 0.5000).

=====

Record 3
Compound: Pm6Nd3Mg2
Source: Alexandria via LeMat-Bulk
Functional: PBE
Structure: relaxed

As for the calculated volume: 360 Å³/cell. The calculation puts the theoretical density at 6.2 Mg/m³. The formation energy is 0.2 eV/f.u.

It has space group P-1 (No. 2), with a = 6.2638 Å, b = 7.9626 Å, c = 8.0367 Å, α = 107.10°, β = 105.18° and γ = 97.43°. Symmetry generates all atoms from Pm at (0.0526, 0.4067, 0.1837), Pm at (0.1365, 0.2257, 0.5551), Pm at (0.3133, 0.8667, 0.2632), Nd at (0.4063, 0.6831, 0.6334), Nd at (0.5000, 0.5000, 0.0000) and Mg at (0.2286, 0.0456, 0.9088).


# 1
Entry from OQMD: a relaxed NaGdTl2 crystal (PBE).

Computed properties:
crystal system: tetragonal
space-group type: P4/mmm, No. 123
E_tot: -2.9414 eV/atom
volume: 109 Å³/cell

```
data_NaGdTl2
_chemical_formula_sum 'Na1 Gd1 Tl2'
_cell_length_a 5.342
_cell_length_b 5.342
_cell_length_c 3.836
_cell_angle_alpha 90.00
_cell_angle_beta 90.00
_cell_angle_gamma 90.00
_space_group_name_H-M_alt 'P 1'
_space_group_IT_number 1
loop_
_space_group_symop_operation_xyz
'x,y,z'
loop_
_atom_site_label
_atom_site_fract_x
_atom_site_fract_y
_atom_site_fract_z
Gd1 0.000 0.000 0.500
Tl1 0.000 0.500 0.000
Tl2 0.500 0.000 0.000
Na1 0.500 0.500 0.500
```

---

# 2
Entry from OQMD: a relaxed NaGdTl crystal (PBE).

Computed properties:
crystal system: cubic
excess energy over the best structure of this formula in the dataset: 0.265 eV/atom
space-group type: F-43m, No. 216
E_tot: -2.4238 eV/atom
volume: 99 Å³/cell

```
data_NaGdTl
_chemical_formula_sum 'Na1 Gd1 Tl1'
_cell_length_a 5.185
_cell_length_b 5.185
_cell_length_c 5.185
_cell_angle_alpha 60.00
_cell_angle_beta 60.00
_cell_angle_gamma 60.00
_space_group_name_H-M_alt 'P 1'
_space_group_IT_number 1
loop_
_space_group_symop_operation_xyz
********
- God reveals Himself to us as he chooses.
What does he believe Christianity is based in.
‘Only Christ, only scripture and only faith.’
Cheap grace.
Going through the rituals of Christianity.
Costly grace.
‘It costs a man his life, and it is grace bevayse it gives man the only true life.”
What justification does Bonhoeffer use for why suffering is a necessary part of salvation.
Because God on earth was not a supreme leader, but weak and powerless.
What three ways does he explain are used to fight Jewish discrimmination and in what book.
‘The Church and the Jewish Question’
- Question the legitamacy of the states actions.
- Help all victims of injustice.
- Be fully engaged in resistance to reverse injustice.
What does Fletcher claim his theology is.
‘As radical version of the situational method as any Christian relativist could call for.’
Argument in ‘After Ten Years.’
That sympathy is the feelings after experiencing being both victim and perpetuator of prejudice towards a faith.